
Tuesday 15 April 2014


     Jesus carried the cross on  Old City of Jerusalem, held to be the path that Jesus walked, carrying his cross, on the way to his crucifixion. The Via Dolorosa (Latin,"Way of Grief", "Way of Sorrows", "Way of Suffering" or simply "Painful Way") is a street.

     How was Jesus did that gain of pain with his Divine Mercyfull face? So we Just stay here for some truthful message.

                                                        "GOD REVEALS TRUTH"
     The Shroud of Turin is the cloth that Jesus was wrapped in when He was burried in the tomb. When Jesus arose from the dead the cloth was left as if the body was still there, read John 20:5-7. Not only does the Shroud of Turin still exist, but it reveals an amazing & detailed impression of the body of Jesus Christ!

     If you compare the face of Jesus on the Shroud of Turin to the face on the Christ Pantocrator icon in St. Catherine's Monastery, are you ready.........there are over 240 "points of similarity"!!

 Scholars have said to actually look at a picture and then be able to paint it as exact as this would nearly be impossible, especially in the 6th & 7th centuries.

 The artist of the Christ Pantocrator I'm sure did not have the Shroud of Turin to go by when he painted the icon of Jesus. If the the Shroud of Turin is  authentic, this would make the Christ Pantocrator icon the most accurate image of the "Real Face Of JESUS CHRIST". 

There are, however, some images which have been claimed to realistically show how Jesus looked.

One early tradition, recorded by Eusebius of Caesarea(also called Eusebius of Caesarea and Eusebius Pamphili) was a Roman historian He became the Bishop of Early centers of Caesarea about the year 314 A.D),

 says that Jesus once washed his face with water and then dried it with a cloth, leaving an image of his face imprinted on the cloth. This was sent by him to King Abgarus of Edessa,

     who had sent a messenger asking Jesus to come and heal him of his disease. This image, called the Mandylion or Image of Edessa, appears in history in around 525. Numerous replicas of this " image not made by human hands" remain in circulation. There are also icon compositions of Jesus and Mary that are traditionally believed by many Orthodox to have originated in paintings by Luke the Evangelist.

 Christian tradition states that he was the first icon painter, although in the Early Middle Ages he was thought to have been only one of several New Testament figures who practiced as an artist. He is said to have painted pictures of the Virgin Mary and Child, in particular the Hodegetria image in Constantinople (now lost). The total number of icons claiming to have been painted by Luke is said to have reached 600 during the Middle Ages, including for example, the Black Madonna of CzÄ™stochowa and Our Lady of Vladimir. He was also said to have painted Saints Peter and Paul, and to have illustrated a gospel book with a full cycle of miniatures.

Late medieval Guilds of St Luke in the cities of Late Medieval Europe, especially Flanders, or the "Accademia di San Luca" (Academy of St. Luke) in Rome—imitated in many other European cities during the 16th century—gathered together and protected painters. The tradition that Luke painted icons of Mary and Jesus has been common, particularly in Eastern Orthodoxy.

     Now uses the image of the face on the shroud as it appeared in the negative of the photograph taken by amateur photographer Secondo Pia in 1898.The image cannot be clearly seen on the shroud itself with the naked eye, and it surprised Pia to the extent that he said he almost dropped and broke the photographic plate when he first saw the developed negative image on it in the evening of 28 May 1898.
Before 1898, devotion to the Holy Face of Jesus used an image based on the Veil of Veronica, where legend recounts that Veronica from Jerusalem encountered Jesus along the Via Dolorosa on the way to Calvary. When she paused to wipe the sweat from Jesus's face with her veil, the image was imprinted on the cloth.

A very popular 20th century depiction among Roman Catholics is the Divine Mercy image, following its approval by Pope John Paul II in April 2000. Faustina wrote in her diary that that Jesus appeared to her and asked her to "Paint an image according to the pattern you see".

Saturday 14 September 2013

❤❤❤▉▉■■ADROIT13 (symposium)■■▉▉❤❤❤

                                                                       we Are Enjoyed a lot in our PG Life in FX Eng Colg, And got some new relationship with Joy,,. this image clickd @ 13.9.13. way of life taught some lessn of us,, every one hold some incidnt and go ahed to te  Feature,,,, thz snap always shown sme reasonabl memorz,,,,

with ma favrbl bro's...nd bst frndz also....i have thz frndz in ma 1st yr whn tat tme of loneliness...

Data records, as found in the file =
Entry 1:
Starting from DFT lattice parameters and positions (GGA-PBE), the X-ray powder pattern of U2TiCr2C4 was simulated for Cu Kα (λ = 1.5418 Å).
Peak positions follow from Bragg's law for the DFT cell and can differ from measured ones.

Top 8 peaks for 2θ from 5° to 70°, by angle:
Position (°2θ), I/Imax
16.1, 100.0
28.7, 54.5
29.4, 58.0
30.3, 55.4
32.5, 68.2
33.6, 63.6
38.0, 48.3
42.4, 68.6

Structure:
abc: 6.589 6.589 5.661
angles: 103.26 103.26 26.68
Atoms (fractional coordinates):
U 0.124 0.124 0.034
U 0.876 0.876 0.966
Ti 0.000 0.000 0.500
Cr 0.323 0.323 0.478
Cr 0.677 0.677 0.522
C 0.237 0.237 0.738
C 0.464 0.464 0.742
C 0.536 0.536 0.258
C 0.763 0.763 0.262

Entry 2:
Starting from DFT lattice parameters and positions (GGA-PBE), the X-ray powder pattern of Rb2CeCdI6 was simulated for Cu Kα (λ = 1.5418 Å).
Peak positions follow from Bragg's law for the DFT cell and can differ from measured ones.

Top 8 peaks for 2θ from 5° to 70°, by angle:
Position (°2θ), I/Imax
14.0, 50.1
24.1, 31.8
24.5, 28.6
28.1, 100.0
31.5, 26.3
39.8, 13.9
40.2, 43.2
49.4, 11.8

Structure:
abc: 9.064 12.711 8.872
angles: 90.00 90.00 90.00
Atoms (fractional coordinates):
Rb 0.250 0.050 0.214
Rb 0.250 0.450 0.214
Rb 0.750 0.550 0.786
Rb 0.750 0.950 0.786
Ce 0.250 0.250 0.738
Ce 0.750 0.750 0.262
Cd 0.250 0.750 0.753
Cd 0.750 0.250 0.247
I 0.005 0.250 0.987
I 0.019 0.250 0.477
I 0.250 0.004 0.763
I 0.250 0.496 0.763
I 0.481 0.250 0.477
I 0.495 0.250 0.987
I 0.505 0.750 0.013
I 0.519 0.750 0.523
I 0.750 0.504 0.237
I 0.750 0.996 0.237
I 0.981 0.750 0.523
I 0.995 0.750 0.013

Entry 3:
Starting from DFT lattice parameters and positions (GGA-PBE), the X-ray powder pattern of DyYAu was simulated for Cu Kα (λ = 1.5418 Å).
Peak positions follow from Bragg's law for the DFT cell and can differ from measured ones.

Top 8 peaks for 2θ from 5° to 70°, by angle:
Position (°2θ), I/Imax
21.9, 50.6
25.3, 1.9
36.1, 100.0
42.6, 28.0
52.0, 17.7
57.0, 12.0
64.9, 36.2
69.4, 9.0

Structure:
abc: 7.041 7.041 7.041
angles: 90.00 90.00 90.00
Atoms (fractional coordinates):
Dy 0.000 0.000 0.000
Dy 0.000 0.500 0.500
Dy 0.500 0.000 0.500
Dy 0.500 0.500 0.000
Y 0.000 0.000 0.500
Y 0.000 0.500 0.000
Y 0.500 0.000 0.000
Y 0.500 0.500 0.500
Au 0.250 0.250 0.250
Au 0.250 0.750 0.750
Au 0.750 0.250 0.750
Au 0.750 0.750 0.250

----------

(1)
Computed X-ray powder pattern
Compound: LaNbCo2Si
Radiation: CuKα
Structure: a GGA-PBE-relaxed structure

a b c (Å): 4.4141 4.4141 5.2781
angles (deg): 90.00 90.00 90.00
Space group P4/mmm (No. 123)
Symmetry-distinct sites (fractional):
La1 0.0000 0.0000 0.0000 (multiplicity 1)
Nb1 0.5000 0.5000 0.5000 (multiplicity 1)
Co1 0.0000 0.5000 0.0000 (multiplicity 2)
Si1 0.0000 0.0000 0.5000 (multiplicity 1)

Most intense lines, 2θ from 5° to 70°, in order of rising 2θ:
2θ (°)	intensity	(hkl)
16.80	32	0 0 1
26.32	100	1 0 1
28.60	18	1 1 0
33.35	17	1 1 1
33.97	46	0 0 2
40.89	55	2 0 0
49.28	36	2 1 1
54.17	47	2 0 2
56.29	12	1 0 3
59.21	18	2 2 0


(2)
Back to the piece =

Friday 30 August 2013

Noah's Ark?

"And the Ark rested in the seventh month, on the seventeenth day of the month, upon the mountains of Ararat.
And the waters decreased continually until the  tenth month: in the tenth month, on the first day of the month, were the tops of the mountains seen."                                                 ...Genesis 8:4-5
" upon the mountains of Ararat."  Many explorers have looked on Mt. Ararat for the remains of Noah's Ark.  The Bible however,  does not say that Noah's Ark landed on Mt. Ararat.  It says that the Ark landed upon the mountains of Ararat. (mountains plural)  An examination of the Hebrew manuscripts of Genesis reveals that actual wordage is that Noah's Ark landed upon the mountains of Urartu. (The whole mountainous region in far eastern Turkey.

                                                            Drogue Anchor Stone 

-- Between two parts of the entry: calculated crystals --
********
[1]
Theoretical PXRD pattern of Ti2Se3 for Cu Kα, 1.54184 Å, from a structure optimized by DFT (GGA-PBE).
Lines closer than 0.1° are merged.

The 12 most intense peaks (2θ = 5–70°), sorted by position:
6.051 Å, I 4; 4.943 Å, I 4; 3.025 Å, I 9; 2.778 Å, I 100; 2.642 Å, I 2; 2.174 Å, I 49; 2.018 Å, I 2; 1.805 Å, I 33; 1.695 Å, I 21; 1.550 Å, I 8; 1.513 Å, I 21; 1.389 Å, I 11

Structural model:
```
data_Ti2Se3
_chemical_formula_sum 'Ti8 Se12'
_symmetry_space_group_name_H-M 'P -3 1 c'
_symmetry_Int_Tables_number 163
_symmetry_space_group_name_Hall '-P 3 2c'
_cell_length_a 6.2536
_cell_length_b 6.2536
_cell_length_c 12.1019
_cell_angle_alpha 90.00
_cell_angle_beta 90.00
_cell_angle_gamma 120.00
loop_
_atom_site_label
_atom_site_fract_x
_atom_site_fract_y
_atom_site_fract_z
Ti1 0.0000 0.0000 0.0000
Ti2 0.3333 0.6667 0.0049
Ti3 0.3333 0.6667 0.2500
Se1 0.0054 0.3328 0.8718
```

***

[2]
Theoretical PXRD pattern of Ti3Se for Cu Kα, 1.54184 Å, from a structure optimized by DFT (GGA-PBE).
Lines closer than 0.1° are merged.

The 12 most intense peaks (2θ = 5–70°), sorted by position:
7.943 Å, I 30; 3.971 Å, I 4; 2.769 Å, I 6; 2.615 Å, I 75; 2.271 Å, I 100; 1.986 Å, I 19; 1.914 Å, I 36; 1.599 Å, I 31; 1.589 Å, I 2; 1.567 Å, I 3; 1.378 Å, I 11; 1.364 Å, I 9

Structural model:
```
data_Ti3Se
_chemical_formula_sum 'Ti3 Se1'
_symmetry_space_group_name_H-M 'P -6 m 2'
_symmetry_Int_Tables_number 187
_symmetry_space_group_name_Hall 'P -6 2'
_cell_length_a 3.1974
_cell_length_b 3.1974
_cell_length_c 7.9427
_cell_angle_alpha 90.00
_cell_angle_beta 90.00
_cell_angle_gamma 120.00
loop_
_atom_site_label
_atom_site_fract_x
_atom_site_fract_y
_atom_site_fract_z
Ti1 0.0000 0.0000 0.0000
Ti2 0.6667 0.3333 0.2729
Se1 0.3333 0.6667 0.5000
```
********
-- So much for the calculated crystals --

Ron finds large stones, identical in design to smaller drogue anchor stones. 

Ron Wyatt, Dave Fassold and John Baumgardner surveyed the site with metal detectors and located a specimen which had the appearance of "wrought iron."
It was reported by Dave Fassold that the semi -quantitative analysis of the iron samples, which was arranged by John Baumgardner, found them to contain from 60 percent to 91.84 percent FE2O3.

Subsurface radar scans were performed at the site revealing a boat shaped structure below the surface.



Wednesday 28 August 2013


"the real MERMAID"
mermaid is a legendary aquatic creature with the upper body of a female human and the tail of a fish.[1] Mermaids appear in the folklore of many cultures worldwide, including the Near East, Europe, Africa and Asia. The first stories appeared in ancient Assyria, in which the goddess Atargatistransformed herself into a mermaid out of shame for accidentally killing her human lover. Mermaids are sometimes associated with perilous events such as floods, storms, shipwrecks and drownings. In other folk traditions (or sometimes within the same tradition), they can be benevolent or beneficent, bestowing boons or falling in love with humans.
Mermaids are associated with the mythological Greek sirens as well as with sirenia, a biological order comprising dugongs and manatees. Some of the historical sightings by sailors may have been misunderstood encounters with these aquatic mammals. Christopher Columbus reported seeing mermaids while exploring the Caribbean, and sightings have been reported in the 20th and 21st centuries in Canada, Israel and Zimbabwe. The U.S.National Ocean Service stated in 2012 that no evidence of mermaids has ever been found.
Mermaids have been a popular subject of art and literature in recent centuries, such as in Hans Christian Andersen's well-known fairy tale "The Little Mermaid" (1836). They have subsequently been depicted in operas, paintings, books, films and comics.


Saturday 10 August 2013

MATLAB training Program

MATLAB training Program

Design of
soft Computing Models Using
Artificial Neural
      SCS Solution
      9-11 Aug 2@13 at Hotel RR Inn, Tirunelveli.

Snap took @ Lab,
Outer of our Shelter,
Infront of Hotel RR Inn,

Sunday 26 May 2013

                                                                       Our UG mate Ferdin Marriage function, yah thtz unforgtabl momnt bcz its lke as togthr!

                                                                       cute nd nce moment! do u knw abt groom! he sat beside me in our College time, he fought with me and force to  punch my let hand arm,,,, bt nw he is HERO of thz marg fn and silently sat on the stage with bride!!  and some memoryz of fights hold myself thtz al r cute fight!

                                                                      His mum and dad treat me  as a frnd, we are al submt gold ring with NFB shield to his Marg functn, bcz of our love!!! i dnt had any wordz to xpln our relatnshp,,,,,